Page 94 of Indigo Sky

She pulled her hand away, and I whined pitifully with a needy ache.

Then, she rolled over, laying her body over mine beneath the blanket, and whispered against my lips, "Me."

Threads of sunlight poked through the slats in my bedroom window blinds, and they lay over her cotton-candy pink hair, the strands sparkling in the early morning light. She kissed me, and I kept my eye open half-mast to watch the flush of her cheeks bloom like the petals of Mom's roses on the bush she’d taken from my late grandfather's house. Kate's fingers stroked over my beard and lifted to touch the scar that stretched from my cheek to my forehead, and I didn't flinch away or wish for her to stop. Instead, I melted into gratitude that this woman could enter my life with the strength to not shy away from the monster I'd become on the outside and see through to the man beneath this tarnished skin.

She opened her eyes, saw that I was watching, and pulled away. A sweet smile graced her lips as she tipped her head and asked, "What?"

"I just still can't believe you're really here," I whispered, choked by a love I was so grateful to call mine.

"I'm here, baby," she whispered back.

"I love you."

Here the text breaks off for calculated crystals >
/*
Model 1:
A relaxed Li7Mn5O12 crystal. Source: the Materials Project, functional PBE with a Hubbard U.

Properties
SG = No. 10
theoretical density = 3.82 Mg/m³
total magnetization = 0.750 μB/atom

a = 2.871 Å, b = 5.347 Å, c = 14.603 Å
α = 87.45°, β = 90.00°, γ = 90.00°
Sites, in units of the cell vectors:
Li: 0.000 0.333 0.833
Li: 0.500 0.489 0.491
Li: 0.500 0.833 0.333
Li: 0.500 0.178 0.176
Li: 0.000 0.676 0.178
Li: 0.000 0.990 0.489
Li: 0.500 0.833 0.833
O: 0.500 0.854 0.078
O: 0.000 0.622 0.407
O: 0.500 0.813 0.588
O: 0.000 0.045 0.259
O: 0.500 0.522 0.744
O: 0.000 0.356 0.075
O: 0.000 0.019 0.744
O: 0.000 0.311 0.591
O: 0.500 0.182 0.409
O: 0.000 0.647 0.922
O: 0.500 0.144 0.923
O: 0.500 0.484 0.258
Mn: 0.500 0.163 0.666
Mn: 0.000 0.333 0.333
Mn: 0.000 0.003 0.003
Mn: 0.000 0.664 0.664
Mn: 0.500 0.503 0.001

Model 2:
A relaxed Li7Mn5O12 crystal. Source: the Materials Project, functional PBE with a Hubbard U.

Properties
SG = No. 2
theoretical density = 3.87 Mg/m³
total magnetization = 0.750 μB/atom

a = 2.986 Å, b = 8.211 Å, c = 9.927 Å
α = 114.33°, β = 93.11°, γ = 90.96°
Sites, in units of the cell vectors:
O: 0.970 0.753 0.490
O: 0.518 0.740 0.978
O: 0.030 0.247 0.510
O: 0.470 0.586 0.686
O: 0.995 0.103 0.170
O: 0.482 0.260 0.022
O: 0.538 0.911 0.336
O: 0.530 0.414 0.314
O: 0.462 0.089 0.664
O: 0.005 0.897 0.830
O: 0.041 0.573 0.170
O: 0.959 0.427 0.830
Li: 0.000 0.500 0.500
Li: 0.500 0.500 0.000
Li: 0.500 0.000 0.000
Li: 0.513 0.159 0.321
Li: 0.487 0.841 0.679
Li: 0.993 0.852 0.166
Li: 0.007 0.148 0.834
Mn: 0.510 0.665 0.327
Mn: 0.000 0.000 0.500
Mn: 0.490 0.335 0.673
Mn: 0.992 0.680 0.839
Mn: 0.008 0.320 0.161

Model 3:
A relaxed Li7Mn5O12 crystal. Source: the Materials Project, functional PBE with a Hubbard U.

Properties
SG = No. 2
theoretical density = 3.86 Mg/m³
total magnetization = 0.750 μB/atom

a = 6.922 Å, b = 8.196 Å, c = 8.764 Å
α = 75.70°, β = 80.09°, γ = 107.34°
Sites, in units of the cell vectors:
Mn: 0.342 0.337 0.996
Mn: 0.167 0.667 0.500
Mn: 0.092 0.340 0.751
Mn: 0.495 0.996 0.502
Mn: 0.992 0.996 0.004
Mn: 0.744 0.998 0.748
Mn: 0.838 0.338 0.498
Mn: 0.590 0.336 0.252
Mn: 0.667 0.667 0.000
Mn: 0.241 0.993 0.249
Li: 0.061 0.821 0.751
Li: 0.167 0.167 0.500
Li: 0.436 0.172 0.756
Li: 0.587 0.829 0.255
Li: 0.897 0.161 0.244
Li: 0.913 0.669 0.250
Li: 0.495 0.503 0.511
Li: 0.272 0.512 0.249
Li: 0.746 0.504 0.745
Li: 0.420 0.665 0.750
Li: 0.667 0.167 0.000
Li: 0.995 0.505 0.003
Li: 0.839 0.830 0.489
Li: 0.338 0.828 0.997
O: 0.002 0.247 0.989
O: 0.582 0.095 0.260
O: 0.368 0.579 0.002
O: 0.917 0.925 0.237
O: 0.496 0.243 0.487
O: 0.866 0.579 0.502
O: 0.046 0.082 0.759
O: 0.288 0.251 0.241
O: 0.417 0.408 0.763
O: 0.174 0.430 0.509
O: 0.245 0.753 0.263
O: 0.454 0.931 0.737
O: 0.467 0.754 0.498
O: 0.965 0.755 0.998
O: 0.677 0.430 0.013
O: 0.837 0.091 0.513
O: 0.587 0.574 0.238
O: 0.088 0.580 0.737
O: 0.160 0.903 0.491
O: 0.331 0.086 0.011
O: 0.746 0.760 0.762
O: 0.879 0.403 0.263
O: 0.751 0.238 0.740
O: 0.656 0.904 0.987

Model 4:
*/

Her eyes swam in pools of crystal tears. "I love you too."

My hand left her shoulder to glide over her bare back to her ass. My palm molded to her silken skin, squeezing, kneading.

"So, back to what you were saying about doing you all day—"

Knock! Knock!


Dad's voice came from the other side of my bedroom door, and Kate lifted her head to look in the direction of the sound.

A sigh escaped my lips as I closed my eye and said, "Yeah, Dad?"

"Hey, bud, it's already six. You're gonna be late for work."

I opened my eye and met Kate's adoring gaze. I mouthed a,Sorry, before calling back, "Yeah, I, uh … I think I'm gonna call in—"

"What? You okay?" He tried the doorknob, finding it locked.

"I'm fine," I hurried to say. "I just had a late night and, um …"

Dad was quiet for a moment, and I thought he might've gotten the hint. I held my breath, waiting to hear his telltale footsteps against the hallway carpet, but they never came.

I laid a hand over my forehead as Kate buried her face against my neck, stifling giggles, while I wished I’d made enough money to afford my own place on expensive-as-fuck Long Island.

Then, there were whispers. Mom's voice had entered the chat, and she was speaking to Dad.

I couldn't make out what was said, only that Dad finally uttered a drawn-out, knowing, "Ohh …"

"Oh, good God," I grumbled beneath my breath, dropping my hand to the bed.

"All right, Rev, uh … I'll just be downstairs, okay? Gonna make some breakfast if, uh …youwant any. I'll makeextra."

"Great, Dad," I called. "Thanks."

Then, two pairs of footsteps shuffled away toward the stairs. Kate lifted her head to look at me, her bottom lip clamped between her teeth as she brushed the hair off my forehead.

"So, um, that was my dad," I said sheepishly, tucking my smile into the corner of my mouth.

She nodded, her jovial eyes glinting. "He seems nice."

"He is," I agreed.

She leaned in, touched her mouth to mine, then said, "I'd like to meet him. Your mom too. Plus, I hear there's breakfast, and I'mstarving."